There are many questions that arise when considering having  water softeners installed in your home. Here are the answers to some of the more common queries:

# These crystal structures were left in the piece by mistake
1.
The following is a simulated powder diffractogram of Dy3GaO6. It was derived from a DFT-relaxed cell (PBE, the Materials Project), using a wavelength of 1.5418 Å.
No peak broadening, texture or thermal motion is included.

Cell and atoms:
Cell: 7.1430 7.1430 5.4463 Å, 90.00 90.00 102.85°
Fractional positions:
Dy 0.1019 0.8981 0.5000
Dy 0.2010 0.4118 0.5473
Dy 0.4118 0.2010 0.0473
Dy 0.5882 0.7990 0.5473
Dy 0.7990 0.5882 0.0473
Dy 0.8981 0.1019 0.0000
Ga 0.3070 0.6930 0.0777
Ga 0.6930 0.3070 0.5777
O 0.0780 0.6057 0.2566
O 0.1440 0.1762 0.2748
O 0.1762 0.1440 0.7748
O 0.2844 0.7156 0.7402
O 0.3943 0.9220 0.2566
O 0.4614 0.5386 0.2198
O 0.5386 0.4614 0.7198
O 0.6057 0.0780 0.7566
O 0.7156 0.2844 0.2402
O 0.8238 0.8560 0.2748
O 0.8560 0.8238 0.7748
O 0.9220 0.3943 0.7566

Principal peaks in the range 2θ from 10° to 90°, most intense first:
2θ 30.47, I = 100; 2θ 30.77, I = 40; 2θ 51.17, I = 23; 2θ 45.94, I = 23; 2θ 32.89, I = 21; 2θ 31.17, I = 18; 2θ 46.59, I = 18; 2θ 60.02, I = 17



2.
The following is a simulated powder diffractogram of DyGaO3. It was derived from a DFT-relaxed cell (PBE, the Materials Project), using a wavelength of 1.5418 Å.
No peak broadening, texture or thermal motion is included.

Cell and atoms:
Cell: 5.5972 7.6387 5.3072 Å, 90.00 90.00 90.00°
Fractional positions:
Dy 0.0677 0.2500 0.0184
Dy 0.4323 0.7500 0.5184
Dy 0.5677 0.2500 0.4816
Dy 0.9323 0.7500 0.9816
Ga 0.0000 0.0000 0.5000
Ga 0.0000 0.5000 0.5000
Ga 0.5000 0.0000 0.0000
Ga 0.5000 0.5000 0.0000
O 0.0374 0.7500 0.3904
O 0.1955 0.5561 0.8057
O 0.1955 0.9439 0.8057
O 0.3045 0.0561 0.3057
O 0.3045 0.4439 0.3057
O 0.4626 0.2500 0.8904
O 0.5374 0.7500 0.1096
O 0.6955 0.5561 0.6943
O 0.6955 0.9439 0.6943
O 0.8045 0.0561 0.1943
O 0.8045 0.4439 0.1943
O 0.9626 0.2500 0.6096

Principal peaks in the range 2θ from 10° to 90°, most intense first:
2θ 33.03, I = 100; 2θ 33.78, I = 25; 2θ 59.95, I = 22; 2θ 25.91, I = 19; 2θ 31.98, I = 19; 2θ 47.20, I = 17; 2θ 53.42, I = 16; 2θ 47.62, I = 14



3.
The following is a simulated powder diffractogram of DyGaO3. It was derived from a DFT-relaxed cell (PBE, the Materials Project), using a wavelength of 1.5418 Å.
No peak broadening, texture or thermal motion is included.

Cell and atoms:
Cell: 6.1210 6.1210 11.7204 Å, 90.00 90.00 120.00°
Fractional positions:
Dy 0.0000 0.0000 0.0000
Dy 0.0000 0.0000 0.5000
Dy 0.3333 0.6667 0.4582
Dy 0.3333 0.6667 0.9582
Dy 0.6667 0.3333 0.4582
Dy 0.6667 0.3333 0.9582
Ga 0.0000 0.3343 0.2254
Ga 0.0000 0.6657 0.7254
Ga 0.3343 0.0000 0.2254
Ga 0.3343 0.3343 0.7254
Ga 0.6657 0.0000 0.7254
Ga 0.6657 0.6657 0.2254
O 0.0000 0.0000 0.2025
O 0.0000 0.0000 0.7025
O 0.0000 0.3068 0.3881
O 0.0000 0.3593 0.0639
O 0.0000 0.6407 0.5639
O 0.0000 0.6932 0.8881
O 0.3068 0.0000 0.3881
O 0.3068 0.3068 0.8881
O 0.3333 0.6667 0.2452
O 0.3333 0.6667 0.7452
O 0.3593 0.0000 0.0639
O 0.3593 0.3593 0.5639
O 0.6407 0.0000 0.5639
O 0.6407 0.6407 0.0639
O 0.6667 0.3333 0.2452
O 0.6667 0.3333 0.7452
O 0.6932 0.0000 0.8881

What is hard water?

Hard water is water which contains a high amount of dissolved minerals, primarily calcium and magnesium. The hardness of your water supply very much comes down to the area in which you live. It is dependent on the types of rocks that the naturally soft rainwater passes through when it hits the ground. The rainwater is filtered by stones and mineral deposits. If it passes through soft rocks such as limestone and chalk, it will collect calcium and magnesium minerals thus becoming ‘hard’. 

How is hard water measured?

-- The page is interrupted by materials data --
# 1
LiFeCo3O8: calculated powder XRD pattern (Cu Kα, 1.54184 Å), based on a crystal structure in Alexandria, relaxed with PBE+U.
No peak broadening, texture or thermal motion is included.

Crystal structure
Cell lengths 5.9605, 5.9605, 5.9605 Å; angles 57.88, 57.88, 57.88 degrees
Positions (direct):
Li (0.0000, 0.0000, 0.0000)
Fe (0.5000, 0.5000, 0.5000)
Co (0.0000, 0.0000, 0.5000)
Co (0.0000, 0.5000, 0.0000)
Co (0.5000, 0.0000, 0.0000)
O (0.2119, 0.7433, 0.7433)
O (0.2308, 0.2308, 0.2308)
O (0.2567, 0.2567, 0.7881)
O (0.2567, 0.7881, 0.2567)
O (0.7433, 0.2119, 0.7433)
O (0.7433, 0.7433, 0.2119)
O (0.7692, 0.7692, 0.7692)
O (0.7881, 0.2567, 0.2567)

Principal peaks in the range 2θ from 15° to 90°, by angle:
2θ (°), I (rel.)
17.94, 1000
36.48, 298
38.01, 81
43.70, 449
47.60, 82
57.00, 148
62.38, 110
64.63, 121
67.68, 124
76.51, 64
81.05, 53
81.29, 54

# 2
Li10FeCo9O20: calculated powder XRD pattern (Cu Kα, 1.54184 Å), based on a crystal structure in Alexandria, relaxed with PBE+U.
No peak broadening, texture or thermal motion is included.

Crystal structure
Cell lengths 5.0121, 7.5415, 9.7401 Å; angles 79.99, 85.04, 71.77 degrees
Positions (direct):
Li (0.0422, 0.1505, 0.2497)
Li (0.1440, 0.4526, 0.7510)
Li (0.2489, 0.7517, 0.2496)
Li (0.3528, 0.0482, 0.7486)
Li (0.4561, 0.3495, 0.2498)
Li (0.5439, 0.6505, 0.7502)
Li (0.6472, 0.9518, 0.2514)
Li (0.7511, 0.2483, 0.7504)
Li (0.8560, 0.5474, 0.2490)
Li (0.9578, 0.8495, 0.7503)
Fe (0.5000, 0.5000, 0.5000)
Co (0.0000, 0.0000, 0.0000)
Co (0.1044, 0.2965, 0.4991)
Co (0.2004, 0.6000, 0.0002)
Co (0.2993, 0.9011, 0.4998)
Co (0.3962, 0.2021, 0.0008)
Co (0.6038, 0.7979, 0.9992)
Co (0.7007, 0.0989, 0.5002)
Co (0.7996, 0.4000, 0.9998)
Co (0.8956, 0.7035, 0.5009)
O (0.0247, 0.0741, 0.6098)
O (0.0587, 0.2259, 0.8888)
O (0.1113, 0.3848, 0.1110)
O (0.1813, 0.5185, 0.3858)
O (0.2349, 0.6770, 0.6120)
O (0.2632, 0.8258, 0.8894)
O (0.3144, 0.9820, 0.1130)
O (0.3893, 0.1157, 0.3884)
O (0.4404, 0.2711, 0.6123)
O (0.4741, 0.4260, 0.8904)
O (0.5259, 0.5740, 0.1096)
O (0.5596, 0.7289, 0.3877)
O (0.6106, 0.8843, 0.6116)
O (0.6856, 0.0180, 0.8870)
O (0.7368, 0.1742, 0.1106)
O (0.7651, 0.3230, 0.3880)
O (0.8187, 0.4815, 0.6142)
O (0.8887, 0.6152, 0.8890)
O (0.9413, 0.7741, 0.1112)
O (0.9753, 0.9259, 0.3902)

Principal peaks in the range 2θ from 15° to 90°, by angle:
2θ (°), I (rel.)
18.51, 1000
36.34, 271
37.05, 128
38.06, 95
43.94, 484
44.75, 229
48.25, 89
57.91, 95
63.84, 192
63.93, 67
65.11, 63
65.23, 63

# 3
Li10Fe3Co7O20: calculated powder XRD pattern (Cu Kα, 1.54184 Å), based on a crystal structure in Alexandria, relaxed with PBE+U.
No peak broadening, texture or thermal motion is included.

Crystal structure
Cell lengths 5.7776, 2.8499, 20.4480 Å; angles 90.00, 97.06, 90.00 degrees
Positions (direct):
Li (0.0000, 0.0000, 0.0000)
Li (0.0000, 0.5000, 0.5000)
Li (0.1997, 0.0000, 0.4006)
Li (0.2017, 0.5000, 0.8986)
Li (0.4009, 0.0000, 0.7993)
Li (0.4020, 0.5000, 0.3017)
Li (0.5980, 0.5000, 0.6983)

Water hardness is measured by the number of mineral deposits in your water at a value of parts per million (ppm).  To give you an idea, a soft water area would have under 60ppm. A very hard water area would have more than 180ppm. There are various tests that can be done to determine the level of hardness to your water. It’s safe to say that if you are getting limescale and soap scum buildup around your home and your detergents do not lather well, you are living in a hard water area!

How does a water softener work?

Water softeners use a process called ‘ion exchange’ to remove the calcium and magnesium minerals from your water as it enters your home. The hard water enters your home, passing through tanks filled with resin beads to which the calcium and magnesium ions in the hard water are attracted. In the softener, ion exchange takes place removing the calcium and magnesium and releasing sodium ions into the water thus making it soft.

Water softeners need to clean or regenerate using a salt to clean away the calcium and magnesium mineral deposits they’ve collected. 

Can I drink softened water?

Due to the ion exchange process, softened water will have a slightly higher amount of sodium than hard water does. This should not be of concern however. There is actually more sodium in a glass of milk than in a glass of softened water. Many people in fact prefer the taste of tea or coffee and cordial made with softened water. It’s certainly worth noting that millions of people have been drinking softened water since the 1920s and there have been no reported health related problems. It is still recommended however that you also have a separate hard water drinking tap installed where possible. This means that there is still a choice of which water to drink.

How much does a water softener cost to run?

After the initial installation, water softeners are actually very low cost to run and maintain. Many models do not even use electricity and those which do use very little. You will need to top up the salt levels but, depending on your usage, this can cost as little as £5 per month. The resin will also need replacing. This often does not need doing for 10-15 years (although can be more frequent depending on the water in your area). As with any household appliance which gets regular use, it is also recommended that you get a service around once a year. It’s worth remembering that the savings you can make on your bills will more than outweigh the running costs of a water softener.

If you have any additional questions, we would love to answer them for you. Please contact us today and we will be happy to help.